Too similar to the fugitive

same actor playing almost same role
underworld of pharmacuticals and medicine
murdered wife
husband back tracks and investigates who killed her...

I watched constant gardener tonight and said afterwards
"as not to offend I'll put my opinion across in 2 ways...
number 1= constant gardner is the boring version of the fugitive
number 2- constant gardner is the fugitive for people who like a thought provoking film

-- Someone pasted calculated crystals at this point --
┌──
Record 1
Theoretical powder diffractogram
Compound: LiCe2HO3
Radiation: copper Kα
Structure: DFT lattice parameters and positions (PBE)
Intensities are scaled so that the largest is 100.

Structure:
Cell lengths 6.7807, 6.7807, 6.7807 Å; angles 150.09, 147.89, 44.45 degrees
Sites, in units of the cell vectors:
Li 0.0000 0.0000 0.0000
Ce 0.3618 0.3618 0.0000
Ce 0.6382 0.6382 0.0000
H 0.0000 0.5000 0.5000
O 0.1769 0.1769 0.0000
O 0.5000 0.0000 0.5000
O 0.8231 0.8231 0.0000

Peak list (10 most intense, 5 to 70 degrees two-theta, in order of rising 2θ)
| 2θ/deg | I_rel |
| --- | --- |
| 24.8 | 84 |
| 26.4 | 48 |
| 28.4 | 60 |
| 32.0 | 54 |
| 33.4 | 66 |
| 35.1 | 100 |
| 45.8 | 85 |
| 48.6 | 24 |
| 56.9 | 34 |
| 60.2 | 25 |

Record 2
Theoretical powder diffractogram
Compound: NaCeH2S2O9
Radiation: copper Kα
Structure: DFT lattice parameters and positions (PBE)
Intensities are scaled so that the largest is 100.

Structure:
Cell lengths 7.1656, 7.1656, 12.7767 Å; angles 90.00, 90.00, 120.00 degrees
Sites, in units of the cell vectors:
Na 0.0007 0.4750 0.0000
Na 0.4743 0.9993 0.3333
Na 0.5250 0.5257 0.6667
Ce 0.4416 0.0013 0.8332
Ce 0.5598 0.5584 0.1666
Ce 0.9987 0.4402 0.4999
H 0.0347 0.9232 0.1297
H 0.0768 0.1115 0.7963
H 0.0947 0.0596 0.5359
H 0.8885 0.9653 0.4630
H 0.9404 0.0350 0.2026
H 0.9650 0.9053 0.8692
S 0.0027 0.4400 0.2479
S 0.4373 0.9973 0.5813
S 0.4422 0.0011 0.0866
S 0.5589 0.5578 0.4199
S 0.5600 0.5627 0.9146
S 0.9989 0.4411 0.7533
O 0.1022 0.0125 0.8386
O 0.1226 0.6218 0.3231
O 0.1337 0.3768 0.6911
O 0.1341 0.6269 0.8232
O 0.1525 0.4041 0.1813
O 0.2431 0.8663 0.0244
O 0.2516 0.8475 0.5146
O 0.3731 0.5072 0.4899
O 0.3761 0.1307 0.6472
O 0.3782 0.5008 0.9898
O 0.4120 0.1529 0.1542
O 0.4928 0.8659 0.1566
O 0.4992 0.3802 0.3424
O 0.4992 0.8774 0.6564
O 0.5155 0.3811 0.8433
O 0.5959 0.7484 0.8479
O 0.6189 0.1344 0.5100
O 0.6198 0.1191 0.0091
O 0.6232 0.7569 0.3578
O 0.7409 0.5880 0.4876
O 0.7546 0.6239 0.9805
O 0.8471 0.2591 0.8209
O 0.8656 0.4845 0.1767
O 0.8693 0.2454 0.3138
O 0.8809 0.5008 0.6757
O 0.9104 0.8978 0.1719
O 0.9875 0.0896 0.5053

Peak list (10 most intense, 5 to 70 degrees two-theta, in order of rising 2θ)
| 2θ/deg | I_rel |
| --- | --- |
| 14.3 | 60 |
| 15.9 | 100 |
| 20.9 | 27 |
| 24.9 | 55 |
| 28.8 | 79 |
| 31.5 | 81 |
| 35.8 | 22 |
| 41.0 | 33 |
| 48.1 | 58 |
| 52.7 | 20 |

Record 3
Theoretical powder diffractogram
Compound: CeNiSnH
Radiation: copper Kα
Structure: DFT lattice parameters and positions (PBE)
Intensities are scaled so that the largest is 100.

Structure:
Cell lengths 7.2272, 4.3731, 8.3037 Å; angles 90.00, 90.00, 90.00 degrees
Sites, in units of the cell vectors:
Ce 0.0105 0.2500 0.1919
Ce 0.4895 0.7500 0.6919
Ce 0.5105 0.2500 0.3081
Ce 0.9895 0.7500 0.8081
Ni 0.2163 0.7500 0.3975
Ni 0.2837 0.2500 0.8975
Ni 0.7163 0.7500 0.1025
Ni 0.7837 0.2500 0.6025
Sn 0.1687 0.2500 0.5727
Sn 0.3313 0.7500 0.0727
Sn 0.6687 0.2500 0.9273
Sn 0.8313 0.7500 0.4273
H 0.0582 0.2500 0.9193
H 0.4418 0.7500 0.4193
└──
-- End of the calculated crystals --

I was bored to death and guessed much of the ending because I just compared it to how the fugitive panned out


Wow, I never would have noticed the parallels. Interesting.
But it seems like you just retained the overview, and missed the story. The real story.

It was slow for sure. We agree on that. I enjoyed it more while thinking about it after than while watching, if that makes any sense.

Look again at The Constant Gardener...

During the course of his investigation into his wife's death Ralph Feinnes' character loses his faith in her, and questions if his life with her was all a lie. Looking back on his memories of their life together he has to ask "was it all a lie?" "was any of it real?" The deeper he digs the more damning the evidence seems to be.

She is using him and her status as his wife to further her political agenda.

She is having an affair with a fellow aid worker, a black man, if that matters.

She has prostituted herself to one of his friends.

It shatters his life.

He goes deeper still and finds none of it is true. She was protecting him. She loved him right to the end. His crime was not having faith in her. In them. In the end he has the answers but no peace. He has to die so they can be together again.

Still sound like The Fugitive?


you know, I'll hand it to you I didn't really watch the meaning of it.

By the time the film was half way through I was too busy shouting that it was like the fugitive to actually acknowledge (or I must admit to care) for the characters or there relationship. I disliked the character of the wife because I thought she was a sneak and a liar and by the time it came to the end of the film and it was revealed that it wasn't true I simply didn't care.

Perhaps I will watch again band pay attention to the characters rather than attention to the story lines similarities to other films


Hahah I just read a description of this movie and all I could think is "THE FUGITIVE!!!" I haven't even watched it yet, but it seems like my suspicions have been confirmed! :D


By the time the film was half way through I was too busy shouting that it was like the fugitive to actually acknowledge (or I must admit to care)
That's a hoot! You're too much!



Hi Gary-etc.....I much prefer your explanation of this excellent film.

The OP said "the same as the Fugitive" How ridiculous is that? Then admits he got bored & "just guessed the ending"....dear oh dear.
Well it's been many years since I saw The Fugitive....but as I recall, he did not sit awaiting his executioners (& even unloading the gun he could have defended himself with.)but ended up being pally with his erstwhile pursuer.
The Constant Gardener is a fabulous, thought provoking fil & whilst The Fugitive was very enjoyable for what it was.....the two simply cannot be compared. They are poles apart for heavens sake.

I guess some people just have a lifelong struggle with their attention span.

But hey, Cheers!


Who is the same actor who plays almost the same role? I didn't see anyone in The Constant Gardener who was also in The Fugitive. Did I miss something?

# Unrelated to this entry: crystal structures
'''
Diffraction record for Dy4Er4Mg. The XRD peak list is calculated, not measured: it uses a DFT-relaxed cell (GGA-PBE, Alexandria) and Cu Kα, 1.54184 Å.

Largest 8 diffraction maxima, in order of rising 2θ, 10 to 90 degrees two-theta:
d/Å	2theta	Rel. int.
3.082	28.97	22
3.064	29.15	13
2.788	32.11	36
2.697	33.22	100
2.685	33.37	46
2.068	43.79	14
1.592	57.94	21
1.497	61.99	11

```
Dy4Er4Mg
1.0
6.6194 0.0000 0.0000
-1.8221 8.1042 0.0000
-2.9019 -0.7114 10.2193
Dy Er Mg
8 8 2
direct
0.0529 0.3021 0.3442
0.0576 0.3096 0.0031
0.2785 0.0223 0.5467
0.3937 0.6394 0.5672
0.6063 0.3606 0.4328
0.7215 0.9777 0.4533
0.9424 0.6904 0.9969
0.9471 0.6979 0.6558
0.0572 0.3031 0.6793
0.2700 0.0231 0.2066
0.3851 0.6330 0.2296
0.3922 0.6475 0.9036
0.6078 0.3525 0.0964
0.6149 0.3670 0.7704
0.7300 0.9769 0.7934
0.9428 0.6969 0.3207
0.2803 0.0264 0.8795
0.7197 0.9736 0.1205
```

~~~~~

Structure and theoretical X-ray powder pattern of BaTiMoO6 (the GGA+U geometry in Alexandria; CuKα).
Lines closer than 0.1° are merged.

Main lines, by angle (5° ≤ 2θ ≤ 70°):
d (Å)	two_theta	I_rel
3.808	23.36	100
3.019	29.59	14
2.815	31.79	68
2.692	33.28	20
1.946	46.69	52
1.904	47.77	17
1.577	58.53	15
1.361	69.02	15

Structural model:
a b c (Å): 5.3849 5.3849 9.9042
angles (deg): 90.00 90.00 90.00
Atoms (fractional coordinates):
Ba: 0.0000 0.0000 0.0000
Ba: 0.5000 0.5000 0.5000
Ti: 0.0000 0.0000 0.3350
Ti: 0.5000 0.5000 0.8350
Mo: 0.0000 0.0000 0.6421
Mo: 0.5000 0.5000 0.1421
O: 0.1597 0.1597 0.4930
O: 0.2007 0.7993 0.7314
O: 0.2022 0.7978 0.2455
O: 0.2978 0.2978 0.7455
O: 0.2993 0.2993 0.2314
O: 0.3403 0.6597 0.9930
O: 0.6597 0.3403 0.9930
O: 0.7007 0.7007 0.2314
O: 0.7022 0.7022 0.7455
O: 0.7978 0.2022 0.2455
O: 0.7993 0.2007 0.7314
O: 0.8403 0.8403 0.4930

Structure and theoretical X-ray powder pattern of Ba2Tl2Mo3O10 (the GGA+U geometry in Alexandria; CuKα).
Lines closer than 0.1° are merged.

Main lines, by angle (5° ≤ 2θ ≤ 70°):
d (Å)	two_theta	I_rel
17.631	5.01	100
3.297	27.04	69
3.158	28.26	45
3.066	29.13	47
2.955	30.24	69
2.803	31.93	74
2.793	32.05	51
2.519	35.65	52

Structural model:
a b c (Å): 3.9570 3.9831 17.6900
angles (deg): 90.03 94.66 90.02
Atoms (fractional coordinates):
Ba: 0.0000 0.0000 0.0000
Ba: 0.2571 0.5025 0.5722
Tl: 0.3945 0.4996 0.8502
Tl: 0.8875 0.9995 0.7193
Mo: 0.5070 0.5022 0.2916
Mo: 0.5468 0.5004 0.1365
Mo: 0.7076 0.0025 0.4320
O: 0.0473 0.5004 0.1132
O: 0.0525 0.5025 0.2827
O: 0.0699 0.9995 0.8506
O: 0.1854 0.0027 0.4377
O: 0.5029 0.4990 0.7347
O: 0.5043 0.4999 0.9708
O: 0.5510 0.0005 0.1318
O: 0.5794 0.0024 0.3134
O: 0.6739 0.5028 0.4132
O: 0.7051 0.0048 0.5443

Structure and theoretical X-ray powder pattern of Ba2YMoO6 (the GGA+U geometry in Alexandria; CuKα).
Lines closer than 0.1° are merged.

Main lines, by angle (5° ≤ 2θ ≤ 70°):
d (Å)	two_theta	I_rel
3.032	29.46	68
3.005	29.73	100
2.991	29.87	34
2.150	42.02	22
2.138	42.28	21
2.101	43.05	20
1.748	52.35	21
1.745	52.45	20

Structural model:
a b c (Å): 5.9826 6.0073 6.0125
'''



The Fugitive is awesome. I am going to watch it again this afternoon!


absolutely nothing like The Fugitive. What film were you watching?



You might just be the worst poster on these boards. A Boring version of the Fugitive? I just lost all faith in humanity.


Same actor?!?! Are you talking about the fugitive (1993) with Harrison Ford and The constant gardener (2004) with Ralph Fiennes??
Are you sure you were paying attention to any of the movies?!?

The constant gardener takes place in africa and exposes how the pharmaceutical industry uses people from third world countries as lab rats!! The movie is a drama, a romance! Has nooothing to do with the fugitive, which is a traditional american action movie, a real good one..


LOL same actor...

Harrison Ford (The Fugitive) is NOT the same person as Ralph Fiennes (The Constant Gardener)... :|


In a very vague overview kind of way, but the movies are totally different.
